
Musculoskeletal pain (MP) is common in the general population. Studies have reported a MP prevalence varying from 15% to 47% [14] and a chronic widespread pain (CWP) prevalence varying between 11.4% and 24% [4].

Although the definition of MP remains uncertain, Woolf and Pfleger [5] defined musculoskeletal conditions as “a diverse group with regard to pathophysiology but which are linked anatomically and by their association with pain and impaired physical function. They encompass a spectrum of conditions, from those of acute onset and short duration to lifelong disorders.”

In fact, MP covers a wide range of conditions, including osteoarthritis, rheumatoid arthritis, osteoporosis, low back pain, fibromyalgia, and primary or secondary headaches. It can be widespread or regionalized and could affect all of the body, predominantly the neck, lower back, shoulders, elbows, knees, and fingers. According to Carnes et al [6], more than 75% of patients have pain in multiple sites instead of a single site.

Evidence [4, 6] shows that MP has the following risk factors: age, gender, smoking, low education, low physical activity, poor social interaction, low family income, depression, anxiety, sleep disorders, psychological distress, performing manual work, being a recent immigrant, being non-Caucasian, and not married.

MP seems to have a great impact on physical and mental health problems and, therefore, may significantly affect quality of life. Some surveys [5] point to a 5% prevalence of physical disabilities caused by a musculoskeletal condition in the general population with a huge societal impact such as work disability and utilization of health care services.

Mental health problems such as depression and anxiety seem to have a great impact on the prevalence and also the disability of MP.

Anxiety disorder is a very common condition with an estimated lifetime prevalence averaging approximately 16% [7]. These anxiety aspects have been linked to MP in several ways:

  1. (a)

    Muscle tension is included as a part of the diagnostic criteria for generalized anxiety disorder (GAD) according to the DSM IV [8]

  2. (b)

    Pain can be a common symptom and a good indicator of an anxiety disorder, particularly GAD [9]

  3. (c)

    Anxiety is an independent predictor of quality of life in patients with chronic MP [10]

  4. (d)

    Anxiety leads to higher levels of chronification [11], more severe pain, and long-lasting attacks in migraine patients

  5. (e)

    Fear, anxiety, and avoidance are related to MP [12].

Symptoms such as muscle tension, body soreness, and headaches are common not only in anxiety patients but also in some conditions such as fibromyalgia [13] and migraine [11, 14]. All these disorders seem to be somewhat connected. For instance, those who suffer from chronic pain and also have an anxiety disorder may have a lower tolerance for pain [15], people with anxiety disorders may be more worried about their health and more fearful of medication side effects [16], and they may also have lower pain thresholds than those without anxiety [17].

The objective of this article is to explore the mechanisms underlying the relation between anxiety disorders and musculoskeletal pain as well as its management.

Mechanisms of Anxiety and Musculoskeletal Pain

There are many mechanisms proposed for the etiopathology of musculoskeletal pain. Interestingly, some of these factors are overlapped by anxiety and fear. We will discuss some of these overlapping factors.


Several studies have reported an association between catechol-O-methyltransferase (COMT) polymorphism, pain sensitivity, and musculoskeletal pain [18, 19]. The same association is verified in anxiety disorders. There is a relation between COMT polymorphism and phobic anxiety, anxiety vulnerability, generalized anxiety disorder, and fear processing [2022].


The role of neurotransmitters also seems to overlap in both conditions. For instance, lower levels of serotonin have been associated with musculoskeletal pain [23] and also with anxiety [24]. The same seems to happen with dopamine, in which lower levels seem to be associated with MP and anxiety [25, 26].

Stressful Life Events

There is a relationship between stressful life events, anxiety, and also MP [27, 28].


Women seem to be more vulnerable and to have a higher prevalence of MP, fear, and anxiety [29, 30].

Association Between Anxiety, Fear, and Musculoskeletal Pain

Several studies have assessed the connections between anxiety, fear, and musculoskeletal pain.

Gore et al [31] have evaluated 101,294 persons categorized as chronic low back pain patients (CLBPP) and controls. They found that CLBPP have great psychiatric comorbidity, such as depression (13.0% CLBPP vs 6.1% controls), anxiety (10.0% CLBPP vs 3.4% controls ) and sleep disturbances (8.0% CLBPP vs 3.4% controls ). In addition, those with CLBPP also have a greater utilization of health services.

These results seem to persist in all ages. Knook et al [32] found that 21% of their pediatric sample with unexplained chronic pain had psychiatric disorders, predominantly anxiety disorders (18%).

Regarding anxiety and pain outcomes, Asmundson et al [33] have investigated 4 groups of students: (a) those with both high trauma-related stress and social anxiety symptom scores (TRS/SAS), (b) only high trauma-related stress symptom scores (TRS), (c) only high social anxiety symptom scores (SAS), or (d) neither (N). They found that the TRS/SAS group had significantly higher scores on all fear of pain measures, anxiety, sensitivity, and illness/injury sensitivity than any other group.

Greenberg and Burns [34] have evaluated chronic musculoskeletal pain patients who underwent cold pressor and mental arithmetic tasks while cardiovascular, self-report, and behavior indexes were recorded. As a result, they found that the effects of pain anxiety on task responses were accounted for by anxiety sensitivity.

Bair et al [35•] have evaluated 500 patients with chronic musculoskeletal pain. Patients with pain and both depression and anxiety experienced the greatest pain severity and pain-related disability. In addition, patients with psychiatric comorbidity have more disability days.

Similar results were obtained by Carleton et al [36]. They have used the Waddell’s sign to indicate pain-related psychological distress in chronic low back pain patients. As a result, patients with more than 2 of Waddell’s symptoms reported higher levels of depressive symptoms, pain-related anxiety, fear, catastrophizing, and pain intensity. Nevertheless, there were no significant differences in functional capacity.

Beneciuk et al [37] have evaluated the role of pain catastrophizing on pain intensity. They found that pain catastrophizing contributed specifically to evoked pain intensity ratings during neurodynamic testing for the median nerve of healthy subjects.

Jensen et al [38] have studied the role of anxiety in care-seeking for musculoskeletal pain. They found that somatization and health anxiety were associated with seeking care for back pain.

Anxiety seems also to predict lower quality of life in MP patients. Orenius et al [10] found that anxiety at baseline predicted the quality of life of MP patients after one year of follow-up.

Fear-Avoidance Model of Musculoskeletal Pain

Fear is the emotional reaction to a specific, identifiable, and immediate threat [39]. Fear has its nature in protecting the individual from impending danger, promoting a self-defense associated with the ‘fight or flight’ response [40].

Anxiety, in contrast to fear, is a future-oriented affective state and the source of threat is more elusive without a clear focus [41], through hyper vigilance, which occurs when the individual engages in environmental scanning for potential sources of threat.

The components of anxiety are somewhat similar to those of fear, but less intense. Anxiety is associated with preventative behaviors, including avoidance [42]. The distinction between fear and anxiety may not be evident, and these terms are frequently used interchangeably [43].

The fear and anxiety responses can be physiological (increase muscle tension), behavioral (escape and avoidance behavior), as well as cognitive (catastrophizing thoughts). While in pain, patients’ fears and phobias are described, such as fear of pain, fear of work-related activities, fear of movement, and fear of (re)injury. Some authors [44] believe that the pain-related fear could be more disabling than pain itself.

This fear-avoidance model of pain was first described by Lethem et al [45] in 1983 in “the fear-avoidance model of exaggerated pain perception” and proposed as a model for chronic low back pain by Vlaeyen and Linton [12] in 2000 and by Leeuw et al [41] in 2007 (Fig. 1).

Fig. 1
figure 1

The fear-avoidance model of pain (adapted from Leeuw et al. [41])

The fear-avoidance model consists of nonthreatening acute pain (low fear) and catastrophically (mis)interpreted pain [41]. When nonthreatening acute pain is perceived, patients usually maintain normal activity, and functional recovery is achieved. A vicious cycle is initiated when catastrophically (mis)interpreted pain begins. Some dysfunctional interpretations could lead to pain-related fear, and some safety-seeking behaviors (avoidance/escape and hypervigilance). These fears may be adaptive in the acute pain stage, but may worsen the course of the disorder in the case of long-lasting pain. As a result, disability and disuse may appear and also lower the threshold at which subsequent pain will be experienced.

According to this model, several aspects can impact pain experience; pain severity, pain catastrophizing, attention to pain, avoidance behavior, disuse, and disability. Anxiety sensitivity has been included in the fear-avoidance model as a vulnerability factor to explain individual differences in fear.

The Past-Present-Future Model of Musculoskeletal Pain

Another way to understand the role of anxiety in pain is the proposed “Past-Present-Future model of musculoskeletal pain” (Fig. 2).

Fig. 2
figure 2

The past-present-future model of musculoskeletal pain

According to this model, considering that sense perception in humans is within the present time, consciousness is experienced as being part of the present, exactly in this moment. Some facts that have already happened could be remembered and some facts that possibly will be happening in the near future could be anticipated by this consciousness (Fig. 2a).

Nevertheless, if a negative life event is re-experienced or there is a negative perspective of a future event, a catastrophizing experience is felt. Therefore, sense perception, brain responses, and the physiological system are ready for releasing defense mechanisms, such as the ‘flight or fight response’. As a result, the individual may re-experience or even anticipate this scenario as a threat, actually happening at the current time (Fig. 2b).

General Treatment for Musculoskeletal Pain

When anxiety disorders are associated with MP, a specific treatment strategy should be planned. Usually 2 complementary strategies could be used: nonpharmacological and pharmacological [46].


First, a good nonpharmacological plan should be performed. Some options available are exercise, physiotherapy, herbal remedies, acupuncture, sensory stimulations, education and behavioral interventions [46, 47].


Pharmacotherapy is also a key therapeutic option for a comprehensive and successful pain management. According to a recent review [48], there is evidence that tricyclic antidepressants, serotonin reuptake inhibitors, and dual serotonin-norepinephrine reuptake inhibitors are effective for musculoskeletal pain. Some studies suggest that the anti-seizure medications (pregabalin and gabapentin) and the analgesic tramadol are also effective.

Treating Musculoskeletal Pain in Anxiety Patients

In some situations, as reported throughout this article, there is an overlap between anxiety, fear-avoidance, and MP (Figs. 1 and 3). For these patients, some particularities of the treatment will be discussed:

Fig. 3
figure 3

Therapies available for musculoskeletal pain that can also treat anxiety and fear. CBT cognitive-behavioral therapy

Caffeine Consumption

Patients with anxiety should limit caffeine, which can trigger panic attacks and worsen anxiety symptoms [49]. Excessive intake of caffeine is recognized as an aggravating factor of headaches [50] but not for other pain conditions [51]. Avoiding caffeine late in the day and at night may also help to promote a more efficient sleep [52], which is related to anxiety.

Sleep Patterns

Some studies have shown that a restorative sleep has a pivotal role in pain improvement [53, 54] and anxiety [55]. Bigatti et al [54] found that in their sample, sleep problems predicted pain and pain predicted physical functioning, suggesting a critical role of sleep in fibromyalgia syndrome symptoms.

Physical Exercise

Regular exercise strengthens muscles, reduces stiffness, improves flexibility, and improves mood and self-esteem. Patients with mild disease may have a self-limiting and reversible problem usually helped by encouragement of aerobic-based exercises [56]. In patients with anxiety, exercise seems to reduce anxious symptoms [57] and possibly booster the improvement on musculoskeletal pain.

Cognitive-Behavior Therapy

Cognitive-behavior therapy (CBT) is an effective therapy used to treat anxiety disorders [58] as well as chronic pain conditions [59]. Morley et al [59] found in a systematic review that active psychological treatments such as CBT are effective in chronic pain and can change measures of pain experience, mood/affect, cognitive coping, pain behavior, and social role function. In another recent systematic review, Hofmann and Smits [58] found that CBT is also efficacious for adult anxiety disorders.

Relaxation Techniques

Relaxation techniques can help people develop the ability to cope more effectively with triggers and those causes contributing to anxiety and pain. Common techniques include breathing retraining, progressive muscle relaxation, mindfulness meditation, and biofeedback [60].

Complementary and Alternative Therapies

Some interventions such as acupuncture, qi-gong, and other modalities of hands imposition, yoga, massage, and hydrotherapy seem to help patients through their action in pain [60] and in anxiety reduction [61].

Spirituality and Religiosity

Several studies have shown the impact of spirituality and religious faiths (S/R) on better mental/physical health, higher quality of life, and lower mortality [6266]. S/R also seems to play a role on the pain process and influence the treatment of pain. Many authors have shown that persons with chronic pain use religious and spiritual beliefs and activities to cope with pain [67, 68••]. Nevertheless, usually this aspect is under-recognized by therapists [62, 69]. Spirituality and pain were investigated in the following studies.

[Inserted here: calculated crystals]
'''
Calculated powder diffractogram of Lu2HfNi4Ge4 for Cu Kα (weighted mean of Kα1 and Kα2), from a cell relaxed with GGA-PBE.
Intensities are scaled so that the largest is 1000.

Structural model:
```
data_Lu2HfNi4Ge4
_chemical_formula_sum 'Lu2 Hf1 Ni4 Ge4'
_symmetry_space_group_name_H-M 'P 1'
_symmetry_Int_Tables_number 1
_symmetry_space_group_name_Hall 'P 1'
_cell_length_a 7.6419
_cell_length_b 7.6419
_cell_length_c 7.6419
_cell_angle_alpha 149.75
_cell_angle_beta 129.07
_cell_angle_gamma 60.39
loop_
_atom_site_label
_atom_site_type_symbol
_atom_site_fract_x
_atom_site_fract_y
_atom_site_fract_z
_atom_site_occupancy
Lu1 Lu 0.1289 0.1289 0.0000 1
Lu2 Lu 0.8711 0.8711 0.0000 1
Hf1 Hf 0.5000 0.0000 0.5000 1
Ni1 Ni 0.1262 0.3231 0.8031 1
Ni2 Ni 0.4799 0.6769 0.8031 1
Ni3 Ni 0.5201 0.3231 0.1969 1
Ni4 Ni 0.8738 0.6769 0.1969 1
Ge1 Ge 0.2062 0.5000 0.7062 1
Ge2 Ge 0.2867 0.7867 0.5000 1
Ge3 Ge 0.7133 0.2133 0.5000 1
Ge4 Ge 0.7938 0.5000 0.2938 1
```

Peak list (12 most intense, 10 to 80 degrees two-theta, by angle)
two_theta  d [Å]  Rel. int.
24.33  3.658  140
27.14  3.286  132
36.07  2.490  1000
36.66  2.451  323
37.93  2.372  888
41.02  2.200  284
45.49  1.994  340
46.29  1.961  246
49.85  1.829  132
59.79  1.547  155
66.92  1.398  160
77.86  1.227  135

* * * * *

Starting from a crystal structure in the Materials Project, relaxed with PBE, the XRD peak list of CeGa2Ni was computed for Cu Ka.
No peak broadening, texture or thermal motion is included.

Principal peaks in the range 2θ from 5° to 70°, most intense first:
Position (°2θ), I (rel.), h k l
34.26, 100, 1 3 1
42.40, 38, 1 7 0
29.87, 29, 0 4 1
43.37, 29, 2 0 0
43.87, 28, 0 0 2
30.91, 25, 1 1 1
62.65, 23, 1 7 2
63.39, 18, 2 0 2
37.98, 14, 0 6 1
26.33, 13, 1 3 0

Structure:
Cell lengths 4.173, 17.359, 4.128 Å; angles 90.00, 90.00, 90.00 degrees
Space group Cmmm (No. 65)
Inequivalent atoms, fractional coordinates:
Ce  0.000  0.141  0.000 x4
Ga  0.000  0.000  0.500 x2
Ga  0.000  0.290  0.500 x4
Ga  0.000  0.500  0.000 x2
Ni  0.000  0.427  0.500 x4

***

Starting from a crystal structure in the Materials Project, relaxed with PBE, the XRD peak list of Ce3Ga2Ni2 was computed for Cu Ka.
No peak broadening, texture or thermal motion is included.

Principal peaks in the range 2θ from 5° to 70°, most intense first:
Position (°2θ), I (rel.), h k l
34.62, 100, 1 1 4
36.73, 98, 1 3 0
40.14, 86, 2 1 3
33.61, 66, 2 1 0
30.68, 55, 0 2 3
36.22, 41, 0 2 4
43.42, 33, 0 0 6
28.79, 30, 1 1 3
58.39, 27, 3 2 3
58.14, 25, 1 3 6

Structure:
Cell lengths 5.644, 8.145, 12.505 Å; angles 90.00, 90.00, 90.00 degrees
Space group Pbcm (No. 57)
Inequivalent atoms, fractional coordinates:
Ce  0.142  0.249  0.250 x4
Ce  0.340  0.602  0.093 x8
Ga  0.157  0.250  0.000 x4
Ga  0.359  0.602  0.750 x4
Ni  0.120  0.535  0.590 x8

* * * * *

CePm2HoEr: theoretical powder diffractogram (copper Kα), based on the PBE geometry in Alexandria.
Lines closer than 0.1° are merged.

Structural model:
'''

Harrison et al [70] evaluated 50 patients with sickle cell disease and found that higher church attendance was significantly associated with lower scores on pain measures.

Keefe et al [71] have investigated rheumatoid arthritis patients and found that those with higher religious coping and spirituality had higher levels of positive mood, lower levels of daily negative mood, higher levels of social support, and were less likely to have joint pain.

Lucchetti et al [62] have evaluated older adults from an outpatient rehabilitation setting and found that greater self-reported religiousness was associated with lower ratings of pain.

Büssing et al [72] have studied chronic pain patients and found an association between spirituality/religiosity, positive appraisals, and internal adaptive coping strategies.

Baetz and Bowen [73] have investigated 37,000 individuals from ‘The Canadian Community Health Survey’ and found that religious persons were less likely to have chronic pain and fatigue. Individuals with chronic pain and fatigue were more likely to use prayer and seek spiritual support as a coping method than the general population, and chronic pain and fatigue sufferers who were both religious and spiritual were more likely to have better psychological well-being and use positive coping strategies.

S/R also can have an influence on anxiety. Studies have shown that higher levels of positive S/R are associated with lower levels of anxiety [74, 75] and that multifaith spiritually-based intervention can have positive outcomes for generalized anxiety disorder [76]. Nevertheless, negative religious coping strategies are positively associated with negative psychological adjustment to stress. That is, individuals who reported using negative forms of religious coping experienced more depression, anxiety, and distress [68••, 77]. Therefore, there may be a connection between spirituality, religiosity, anxiety, coping, fear, and pain that could have repercussions on the treatment of chronic conditions and musculoskeletal pain. Further studies are needed on this issue.


For the treatment of musculoskeletal pain, there are several medications that can be used. Some agents such as simple analgesics (acetaminophen and NSAIDs), muscle relaxants (cyclobenzaprine), and opioids (tramadol) are used in specific contexts [48, 78]. Nevertheless, most intermediate treatment options between simple analgesics and opioids have both analgesic and anti-anxiety effects (antidepressants for example). Here, we will discuss drugs that have both effects (Table 1).

Table 1 Treatment efficacya for pain and anxiety

Tricyclic Antidepressants

Tricyclic antidepressants (amitriptyline, start at 10–25, titrate to 100 mg or nortriptyline, start at 10–25, titrate to 100 mg) are drugs that can be used in almost all musculoskeletal pain conditions such as fibromyalgia [79], osteoarthritis, and low back pain [78]. It is also used in anxiety-depression conditions. Nevertheless, some adverse effects such as dry mouth, weight gain, constipation, and morning drowsiness can happen. In addition, physicians must be cautious when prescribing for elderly patients or those with cardiovascular diseases.

Serotonin–Norepinephrine Reuptake Inhibitors and Selective Serotonin Reuptake Inhibitors

Duloxetine 60 mg daily and milnacipran 50–100 mg bid are serotonin–norepinephrine reuptake inhibitors (SNRIs) used for musculoskeletal pain that can also treat anxiety symptoms. A placebo-controlled trial of duloxetine in patients with depression and moderate-to-severe pain but no organic pain diagnosis found a significant benefit for both pain and depression symptoms [80]. Other drugs such as escitalopram 10–20 mg (selective serotonin reuptake inhibitors [SSRI]) or venlafaxine 37.5–150 mg (SNRI) are also possible options with lower evidence at this moment. These drugs are usually more tolerable than the tricyclic antidepressants. Other antidepressants may also be included in combination; agomelatine has been studied in anxious patients [81] but not well evaluated in pain.


Other drugs such as pregabalin (300–450 mg daily in divided doses) [82] and gabapentin (1200–2400 mg/d) [83] seem to have positive effects, particularly in fibromyalgia.


There is an intrinsic connection between anxiety, fear, and musculoskeletal pain. Studies have shown that patients with anxiety have higher prevalence of musculoskeletal pain and vice-versa. In this review, we found some similarities in proposed mechanisms and explicative models for both conditions as well as an overlapping between the treatments available. The recognition of this association is important for professionals who deal with chronic pain.